Pentecost and Persecution

Today was Pentecost.  The following is a portion of the message I preached on at the Free Church Mennonite Brethren Church in Owingen, Germany:

These records of molecules were left in the article by mistake:
********
1.
A molecular structure, C26H31F5NO7P2V, computed with ωB97M-V/def2-TZVPD.

CARTESIAN COORDINATES (ANGSTROEM)
V  0.744396  -0.029863  -1.243860
C  1.463537  4.149425  -0.815311
C  1.926007  3.186269  -1.889162
O  2.611265  3.808308  -2.935962
P  0.595950  2.279914  -2.789005
O  -0.685255  2.289454  -1.835143
O  0.128891  3.136137  -4.003525
O  0.884282  0.861560  -3.121545
P  3.059953  1.904641  -1.147471
O  3.686208  1.274802  -2.443833
O  3.942484  2.349328  -0.088027
O  1.933052  0.850531  -0.727584
H  0.987433  5.020731  -1.263975
H  2.333502  4.478942  -0.243673
H  0.772059  3.668546  -0.122975
H  3.317281  4.380288  -2.593947
H  -1.147175  3.135378  -1.824598
H  0.762729  3.309235  -4.703016
H  4.594850  0.972142  -2.320898
C  -1.643676  -1.972239  -4.288077
C  -2.077910  -1.567539  -2.917291
C  -3.382333  -1.773600  -2.459856
C  -3.753306  -1.463333  -1.154220
C  -5.121459  -1.792890  -0.669479
C  -2.821767  -0.885679  -0.289126
C  -1.501231  -0.660637  -0.697326
C  -1.167059  -1.016465  -2.035983
N  -0.422358  -0.228503  0.046138
C  -0.408382  0.107921  1.435516
C  0.993749  0.611310  1.831589
C  1.063558  0.965052  3.320745
C  0.063134  2.077292  3.624952
C  -1.329594  1.585344  3.249947
C  -1.680174  0.339314  4.064311
C  -0.656368  -0.756931  3.776978
C  0.738584  -0.271450  4.154818
C  -0.712071  -1.144711  2.300620
C  -1.407257  1.249617  1.758361
H  -2.481150  -2.333218  -4.875869
H  -0.903385  -2.771784  -4.224237
H  -1.184140  -1.135446  -4.814742
H  -4.108120  -2.217210  -3.124888
H  -5.694038  -2.293390  -1.443388
H  -5.655057  -0.894943  -0.364879
H  -5.067551  -2.446437  0.198606
H  -3.141497  -0.694814  0.721813
H  -0.114037  -0.991542  -2.401016
H  1.231904  1.515069  1.258181
H  1.749024  -0.150244  1.602992
H  2.077969  1.304865  3.541129
H  0.319529  2.981652  3.068633
H  0.097573  2.325935  4.684889
H  -2.063932  2.368191  3.457444
H  -2.684895  -0.001197  3.813325
H  -1.675970  0.579460  5.124857
H  -0.903923  -1.643923  4.367064
H  1.482737  -1.047046  3.970189
H  0.769441  -0.019694  5.214841
H  -1.690779  -1.556211  2.058879
H  0.043185  -1.900284  2.077840
H  -1.138475  2.113335  1.138406
H  -2.429869  0.963468  1.520823
F  -0.408673  -3.010869  -0.520853
C  0.939910  -3.030166  -0.558833
C  1.631143  -1.839326  -0.768473
C  3.014910  -1.963752  -0.740582
F  3.766570  -0.852341  -0.896389
C  3.682758  -3.168038  -0.522825
F  5.002859  -3.186678  -0.499257
C  2.947183  -4.341532  -0.336629
F  3.548193  -5.492760  -0.135340
C  1.554148  -4.262595  -0.355308
F  0.800927  -5.334182  -0.175513

Atomic forces in eV per Å
-3.59 -4.11 -0.10
-0.21 -0.02 0.17
0.49 -0.78 -0.07
0.41 0.48 -0.39
-1.22 2.47 -0.45
0.63 -0.29 -0.41
-0.14 -0.21 0.46
0.24 -1.28 0.87
1.64 1.98 -1.18
-0.22 0.11 0.25
-0.18 -0.12 0.25
3.17 2.12 2.04
-0.07 -0.02 -0.05
-0.03 0.02 -0.02
0.01 0.05 0.11
-0.11 -0.04 -0.10
-0.34 0.23 0.19
0.38 0.25 -0.40
0.26 -0.14 -0.07
0.10 -0.05 -0.10
-0.26 0.02 -0.09
0.58 0.18 -0.01
0.41 0.11 -0.09
-0.16 0.02 0.10
********
End of the records of molecules:

Jesus' sermon in Luke 4:16-30 marks the beginning of Jesus' public ministry.  In chapter three He had been baptized at which time the Holy Spirit descended upon Him and the Father had confirmed his identity.  Then in chapter four He had been driven into the wilderness to be tempted.  Now, He goes into the synagogue and He announces that the Spirit of the Lord is upon to preach good news to the poor.  It is this anointing that prepares him for a mission that will be marked by humiliation, opposition, rejection, and suffering, as we see in how the crowd responds to His sermon.  They seek to kill Him.

Calculated molecules that have nothing to do with the entry =
********
{"formula": "C21H70N14O21", "method": "ωB97M-V/def2-TZVPD", "lumo_energy_ev": -0.300, "multiplicity": 1, "largest_force_ev_per_a": 6.367, "molar_mass_g_mol": 854.87, "orbital_gap_ev": 9.06, "symbols": ["C", "O", "N", "N", "H", "H", "H", "H", "C", "O", "N", "N", "H", "H", "H", "H", "C", "O", "N", "N", "H", "H", "H", "H", "C", "O", "N", "N", "H", "H", "H", "H", "C", "O", "N", "N", "H", "H", "H", "H", "C", "O", "N", "N", "H", "H", "H", "H", "C", "O", "N", "N", "H", "H", "H", "H", "C", "C", "O", "O", "H", "H", "H", "H", "H", "H", "C", "C", "O", "O", "H", "H", "H", "H", "H", "H", "C", "C", "O", "O", "H", "H", "H", "H", "H", "H", "C", "C", "O", "O", "H", "H", "H", "H", "H", "H", "C", "C", "O", "O", "H", "H", "H", "H", "H", "H", "C", "C", "O", "O", "H", "H", "H", "H", "H", "H", "C", "C", "O", "O", "H", "H", "H", "H", "H", "H"], "positions_angstrom": [[-3.431, 2.378, -2.427], [-4.020, 2.850, -3.317], [-3.608, 1.229, -1.868], [-2.429, 2.980, -1.813], [-2.790, 0.686, -1.633], [-4.324, 0.738, -2.385], [-1.843, 2.689, -1.043], [-2.102, 3.883, -2.125], [0.474, 5.809, 2.080], [0.197, 5.436, 3.196], [0.714, 7.008, 1.755], [0.332, 5.075, 0.977], [0.792, 7.167, 0.760], [0.684, 7.764, 2.425], [0.340, 4.066, 1.027], [0.149, 5.477, 0.069], [2.794, -1.588, 3.192], [2.666, -2.740, 3.429], [3.874, -0.864, 3.400], [1.823, -0.780, 2.905], [4.597, -1.401, 3.856], [4.002, 0.131, 3.278], [1.877, 0.223, 2.802], [0.989, -1.348, 2.939], [2.955, 2.702, 2.740], [2.433, 1.955, 3.535], [2.734, 2.737, 1.461], [3.804, 3.652, 3.130], [3.411, 3.232, 0.898], [2.024, 2.115, 1.103], [4.135, 4.390, 2.526], [3.864, 3.677, 4.138], [-2.928, -4.770, -1.857], [-2.232, -4.676, -2.876], [-2.808, -3.825, -0.956], [-3.820, -5.670, -1.536], [-2.337, -2.971, -1.218], [-3.195, -3.985, -0.037], [-4.488, -5.479, -0.803], [-3.991, -6.287, -2.317], [4.608, -0.773, -0.892], [5.272, -0.838, -1.908], [3.266, -0.633, -0.821], [5.083, -1.076, 0.358], [2.958, -0.341, -1.738], [2.813, -0.658, 0.081], [6.053, -1.279, 0.556], [4.514, -1.184, 1.185], [-2.173, -1.327, -3.920], [-2.043, -1.227, -2.702], [-2.160, -2.438, -4.564], [-2.398, -0.384, -4.737], [-2.213, -3.294, -4.031], [-2.269, -2.412, -5.568], [-2.506, 0.586, -4.478], [-2.499, -0.767, -5.666], [1.997, -0.983, -4.965], [3.439, -0.461, -5.284], [4.393, -1.267, -4.707], [1.535, -0.768, -3.628], [1.961, -2.045, -5.209], [1.182, -0.624, -5.594], [3.765, 0.526, -4.956], [3.527, -0.458, -6.370], [4.491, -1.089, -3.769], [0.576, -0.718, -3.619], [-5.249, 0.659, 1.730], [-4.780, -0.604, 1.022], [-3.450, -0.381, 0.730], [-5.151, 1.740, 0.808], [-4.721, 0.887, 2.657], [-6.261, 0.455, 2.079], [-5.265, -0.634, 0.047], [-4.973, -1.577, 1.474], [-3.488, 0.578, 0.704], [-5.325, 2.572, 1.256], [1.079, -4.517, 1.155], [0.001, -5.364, 0.633], [0.583, -6.480, 0.017], [1.926, -3.839, 0.130], [1.647, -5.048, 1.919], [0.653, -3.641, 1.643], [-0.511, -4.746, -0.105], [-0.780, -5.572, 1.364], [0.730, -6.279, -0.910], [2.830, -3.924, 0.442], [-2.045, -2.310, 3.959], [-2.540, -3.388, 3.033], [-3.559, -4.241, 3.492], [-3.205, -1.578, 4.362], [-1.217, -1.685, 3.622], [-1.637, -2.781, 4.853], [-1.741, -3.914, 2.511], [-2.883, -2.787, 2.190], [-3.439, -5.157, 3.228], [-3.959, -2.147, 4.191], [3.274, 3.384, -1.742], [3.749, 3.322, -3.196], [4.299, 4.635, -3.538], [4.297, 3.680, -0.805], [2.847, 2.437, -1.411], [2.426, 4.066, -1.691], [2.794, 3.184, -3.702], [4.398, 2.506, -3.512], [3.818, 5.108, -4.221], [4.441, 4.621, -0.928], [0.163, 0.408, -0.699], [0.013, -1.132, -0.213], [-0.884, -1.492, 0.860], [0.506, 1.215, 0.311], [-0.781, 0.685, -1.169], [0.993, 0.353, -1.404], [0.974, -1.539, 0.101], [-0.418, -1.676, -1.054], [-1.734, -1.061, 0.745], [-0.309, 1.610, 0.630], [-1.432, 1.585, 2.502], [-0.696, 2.467, 3.675], [-1.531, 3.357, 4.288], [-1.820, 2.310, 1.309], [-2.389, 1.440, 3.003], [-0.842, 0.687, 2.318], [0.217, 2.953, 3.332], [-0.247, 1.789, 4.401], [-1.667, 3.928, 3.529], [-2.221, 3.140, 1.577]]}
********
The entry goes on =

Hardly a great way to begin one's public ministry.  If this had happened to me the first time I preached, I am not sure if I would still be in the ministry. Indeed, I suspect that my sermon was more a persecution of those who had to listen to it than the other way around.

But as we continue through the New Testament, we see that this event is a model for the remainder of Jesus' ministry.  Jesus goes forth and ministers in a context of opposition and hostility.  Ultimately, His ministry leads to the Cross, a symbol of weakness, shame, rejection and humiliating death.

This is typically how God's purposes are accomplished in Scripture; through Spirit anointed messengers who spread the Good News in the face of opposition, humiliation, rejection, and death.  This is the path that Jesus walked and it is the path that His disciples will walk following the day of Pentecost.

Like Jesus, they wait until they are empowered by the Holy Spirit in order to begin to obey Jesus' commission in Acts 1:8 to take the gospel to the world; a world which the Bible says is in a state of rebellion to God, hostile to the Word of God and the people of God; a world that is not marked by an openness to the things of God but a rejection of them. They go out as lambs among wolves.  They are sent out as "witnesses" and witnesses, as we note in Scripture and church history, often martyrs

And like their Lord, his messengers are anointed by the Spirit to preach the gospel to those in need.   And like their Lord, we read in Acts that they almost immediately ran into opposition.  Already in chapter 4, Peter and John are arrested and interrogated for a sermon they gave in chapter 3 shortly after Pentecost.  In their prayer in 4:25-29 they recount how David, through the inspiration of the Holy Spirit, had said:

'Why did the Gentiles rage,
and the peoples plot in vain?
The kings of the earth set themselves,
and the rulers were gathered together,
against the Lord and against his Anointed'-

for truly in this city there were gathered together against your holy servant Jesus, whom you anointed, both Herod and Pontius Pilate, along with the Gentiles and the peoples of Israel, to do whatever your hand and your plan had predestined to take place. And now, Lord, look upon their threats and grant to your servants to continue to speak your word with all boldness,

They knew that just as Jesus had suffered, so would they.  Being empowered by the Spirit would not protect them from persecution; indeed, the Spirit empowered them for persecution and continued ministry.

This is a principle that we must not miss in Scripture. The purposes of God are always carried out in an environment of conflict, with God's messengers suffering rejection, opposition, pain and even death in order to carry this good news to others.  They suffer so that others can be healed.  They die so that others can live.  They suffer shame and rejection so that others can receive honor and acceptance with God.

Do they do this on their own strength?  No, it is only possible because of Pentecost.  It is only possible because the Spirit of the Lord is upon them, empowering them in times of weakness, giving them the words to say when words fail them, praying for them when they don't know what to say.  Life lived in the shadow of the cross is life lived in the power of the Spirit.  There is no contrast between a theology of the cross and a theology of the Spirit.

A cross-centered gospel requires Spirit-filled, cross-carrying messengers.  In the plan of God, there is no other way that His purposes can be achieved.